Illinois Council for Exceptional Children Logo

Nominations due May 15th, must be fully completed

Do you know a child or youth ages 2-21 who has gone above and beyond?

Consider nominating them to receive the ICEC “Yes I Can!” Award!

• Quantum chemistry results, kept here for reference:
-- begin --
{
  "formula": "C4H5BrN2O2S",
  "method": "wB97M-V/def2-TZVPD",
  "de_lowest_ev": 0.492,
  "orbital_gap_ev": 8.73,
  "spin_multiplicity": 1,
  "e_tot_ha": -3387.579792,
  "homo_energy_ev": -8.5293,
  "species": ["C", "C", "C", "C", "N", "N", "O", "O", "S", "Br", "H", "H", "H", "H", "H"],
  "xyz": [[-0.71832, 0.33751, 0.46820], [2.06538, -1.76955, -0.20775], [0.99776, 0.41280, -1.66226], [1.45458, 0.11470, -0.19357], [0.54164, 0.11587, 0.82801], [-1.78376, 0.29932, 1.21829], [1.79864, -2.38140, 0.95273], [2.56528, -2.18388, -1.18819], [-0.85384, 0.69528, -1.34079], [3.09398, 1.11647, 0.13933], [1.43006, 1.31733, -2.03632], [1.22419, -0.46602, -2.21892], [1.19922, -1.93262, 1.52480], [-1.80516, -0.45481, 1.83098], [-2.56530, 0.63424, 0.76747]],
  "forces_ev_per_angstrom": [[5.8340, 0.3675, -3.0813], [-1.7509, 4.0077, 0.8055], [-1.8227, 0.2546, 2.9101], [1.8287, -3.6817, -1.1058], [-3.3783, 0.5858, 0.7615], [0.6254, 0.4764, 0.5807], [1.4399, -1.4756, -1.7210], [0.3392, -0.7827, 0.0256], [0.6312, -0.3542, 0.2959], [-0.0929, 0.0099, 0.3152], [0.1285, 0.3119, -0.3050], [-0.1577, -0.4483, -0.8447], [-0.7010, 1.4843, 0.4230], [-0.5659, -1.0806, 1.5180], [-2.3576, 0.3250, -0.5778]],
  "nbo_charge": [0.37, 0.82, -0.53, 0.01, -0.63, -0.78, -0.68, -0.56, 0.12, 0.02, 0.24, 0.26, 0.52, 0.41, 0.40]
}

---

{
  "formula": "C4H5BrO",
  "method": "wB97M-V/def2-TZVPD",
  "de_lowest_ev": 3.948,
  "orbital_gap_ev": 8.34,
  "spin_multiplicity": 1,
  "e_tot_ha": -2804.489665,
  "homo_energy_ev": -8.2798,
  "species": ["C", "C", "C", "C", "O", "Br", "H", "H", "H", "H", "H"],
  "xyz": [[-1.24357, 2.43661, -0.08691], [-1.18620, 1.21758, -0.09540], [-0.98127, -0.09729, 0.30606], [0.98408, -0.94441, -0.43466], [1.11628, -2.27341, 0.01201], [2.24942, 0.34143, 0.10591], [-1.69283, 3.41037, -0.18826], [-0.67975, -0.07088, 1.29845], [-1.38717, -0.94990, -0.11551], [1.06754, -0.82659, -1.52222], [1.75347, -2.24351, 0.72054]],
  "forces_ev_per_angstrom": [[-0.9118, -0.9401, -0.5447], [-0.0567, 2.1330, -0.1507], [3.8430, -0.6681, -1.7482], [-2.1245, 0.3789, 0.1249], [-0.2862, 1.9234, -0.8565], [0.7120, 0.2116, 0.7765], [0.6122, -0.2119, 0.0553], [0.2621, -0.7568, 1.8966], [-1.4585, -1.1954, -0.5001], [-0.9035, -0.6535, 0.3011], [0.3119, -0.2210, 0.6459]],
  "nbo_charge": [-0.22, -0.06, -0.43, 0.01, -0.70, 0.02, 0.24, 0.22, 0.23, 0.19, 0.48]
}

---

{
  "formula": "C4H5BrSi",
  "method": "wB97M-V/def2-TZVPD",
  "de_lowest_ev": 3.895,
  "orbital_gap_ev": [7.19, 4.42],
  "spin_multiplicity": 1,
  "e_tot_ha": -3018.771448,
  "homo_energy_ev": [-9.4200, -7.7232],
  "species": ["C", "C", "C", "C", "Si", "Br", "H", "H", "H", "H", "H"],
  "xyz": [[0.60448, -0.79370, 0.82172], [1.46026, -0.55918, -0.29016], [-0.55694, -0.01804, 0.95859], [1.00328, 0.27690, -1.27206], [-0.62371, 0.93128, -0.67376], [-4.19228, 0.10924, 0.21529], [1.02694, -1.38621, 1.57962], [2.35243, -0.98132, -0.32501], [-1.28307, -0.18037, 1.74121], [1.42614, 0.41048, -2.22891], [-1.78947, 1.67497, -0.90350]],
-- stop --

Click Here for Digital “Yes I Can!” Award Form

About the ICEC “Yes I Can!” Award

Deadline: All nomination materials must be submitted by May 15th of the calendar year. Incomplete nominations will not be considered for selection.

Overview and Purpose

As a unit of CEC, the Illinois Council for Exceptional Children advocates, celebrates and helps to advance the success of children with exceptionalities.

The “Yes I Can” awards program honors and celebrates the achievements of children and youth (ages 2-21) with exceptionalities. The primary purpose of this award is to encourage individuals to seek their highest potential. The secondary goal is to increase public awareness of the abilities, aspirations, and personal qualities of those with exceptionalities.

In addition to being recognized and applauded for their efforts, Each Yes I Can Award recipient will:

  • Be invited to attend the ICEC Fall Convention awards ceremony luncheon to receive their award.
  • Receive a “Yes I Can” Award Certificate.
  • Have their nomination submitted to the National CEC award review committee

Eligibility Requirements

  • Candidates must be 2–21 years of age when they are nominated.
  • The nominee must have an identified disability.
  • Past “Yes I Can” Award recipients are not eligible for re-nomination for the same category.

Eligible Nomination Categories

(May be nominated for one area only)

  • Academics: Achievement in a particular subject area such as math, science, reading, social studies, language arts, or foreign language; overall academic achievement; or a high level of achievement on standardized tests.
  • Arts: Achievement in a particular medium such as music, art, drama, dance, or written expression.
  • School & Community Activities: Achievement in organized activities at the school or community level through groups such as school-based clubs/activities (yearbook, theater, debate, tutoring, peer mentoring, social, service) or community-based clubs/activities (volunteer work, Boy/Girl Scouts, places of worship, service, cleanup campaigns).
  • Self-Advocacy: Achievement in assuming practical responsibility for oneself, using knowledge of legal rights, advancing one’s goals, or effectively obtaining appropriate accommodations for oneself or others.
  • Technology: Achievement through the use of assistive and adaptive technology devices and equipment (computerized or otherwise).
  • Transition: Achievement in mastering activities that leads to successful experiences in the areas of work, vocational training, or independent living.

Nomination Procedures

Deadline: May 15th / incomplete applications submitted will not be considered.

Nominations may be submitted by anyone (including: the nominee themselves, teachers, principals, related service providers, friends, and parents).

  • Each candidate may be nominated in only one category.
  • Nominations may be submitted electronically via the online form, e-mailed attachment of the downloadable form, or by mail.
  • All materials submitted become the property of the ICEC and will not be returned.
  • All nominations and recipients will be notified by August of the committee’s decision.

How to Complete and Submit the Nomination Form

The nomination form is divided into three (3) sections:

  • Section A: Nomination Information
  • Section B: Statement of Achievement
  • Section C: Video Documentation

Please note that if the nominee is selected as a recipient, the responses to the questions below may be used by ICEC for the awards and publicity purposes.

Section A: Nomination Information

Double-check that the nominee’s name is spelled correctly on ALL materials, as it will be printed on his/her Certificate of Accomplishment.

Section B: Statement of Achievement

In 1,000 words or less, describe why the nominee deserves to receive this award. Include information such as the challenges the student encountered prior to his or her accomplishments, his or her exceptionality/exceptionalities, the type of special education services provided to the nominee, the student’s achievements in his or her category of nomination, the setting in which these accomplishments occurred, and the impact these accomplishments have had on the student or others.

Section C: Video Documentation

Videos should support the Statement of Achievement (Section B) indicating why the nominee deserves this award. This video should highlight the nominee’s work/achievements, his or her daily life, or a statement from the nominee about the impact that his/her accomplishments have had.

  • Videos should be no more than 5 minutes in length.
  • Videos should be uploaded to YouTube or another video sharing service, and the link should be provided with the nomination

Suggestions for nominee video content for each category:

Next to the piece, the page also holds molecular data:
- - -
Record 1
ORCA calculation (wB97M-V/def2-TZVPD) on 8 unconnected molecules or ions with the total composition C27H53FO9S7 at a distorted geometry.

Atoms and positions in Å:
C -1.1715 -1.8477 -3.2120
C 0.2469 -1.3329 -2.6782
C 1.2739 -0.5710 -3.6034
C 2.6626 -0.0547 -3.1374
C 3.7144 0.6887 -4.1084
C 5.0540 -0.2020 -4.3374
F 5.8064 -0.3939 -3.1112
C 3.1127 -0.2431 -1.6550
C 2.1452 -0.9929 -0.7078
C 0.7238 -1.5436 -1.2014
C -0.1476 -2.3348 -0.0984
O -1.4001 -2.2718 -0.0084
C 0.7442 -3.2068 0.9577
C 2.0132 -2.7021 1.4001
C 2.5377 -1.2789 0.8337
O 3.1672 -0.4412 1.5287
H -1.9444 -1.7442 -2.3787
H -1.0929 -2.9373 -3.5368
H -1.5064 -1.1346 -4.0542
H 0.9896 -0.3933 -4.7031
H 4.0145 1.7211 -3.7301
H 3.2125 0.7493 -5.1508
H 5.7844 0.3084 -5.0769
H 4.8181 -1.2307 -4.7899
H 4.1129 0.1413 -1.2330
H 0.4362 -4.2272 1.3579
H 2.6805 -3.3083 2.1185
C 0.1998 1.7721 -0.0544
S 0.7440 3.2692 -0.9037
O 2.1482 3.0388 -1.3681
C 0.8239 4.3013 0.5741
H 0.1194 0.9682 -0.7869
H 0.9252 1.4892 0.7110
H -0.7758 1.9488 0.4025
H 1.5121 3.8625 1.2987
H -0.1715 4.3920 1.0102
H 1.1837 5.2905 0.2868
C -0.2954 4.7594 5.9864
S -0.0781 5.4505 4.3320
O -0.4798 4.3958 3.3482
C 1.7247 5.4892 4.3798
H -1.3618 4.6115 6.1632
H 0.2201 3.8001 6.0608
H 0.0994 5.4565 6.7275
H 2.1150 4.4841 4.5539
H 2.0542 6.1626 5.1729
H 2.0884 5.8575 3.4199
C -3.9577 -3.2267 1.4219
S -3.2901 -3.2146 3.0980
O -2.2110 -4.2481 3.1585
C -4.7547 -3.9149 3.8893
H -3.1868 -2.8598 0.7428
H -4.2372 -4.2436 1.1388
H -4.8283 -2.5698 1.3701
H -4.9844 -4.8891 3.4528
H -5.5992 -3.2360 3.7588
H -4.5487 -4.0347 4.9536
C -0.2932 -6.2036 -1.8796
S 1.0807 -5.0345 -1.8427
O 0.8715 -4.0602 -2.9569
C 2.3386 -6.2095 -2.3869
H -1.2069 -5.6716 -1.6090
H -0.4004 -6.6224 -2.8829
H -0.1129 -7.0015 -1.1567
H 2.0640 -6.6252 -3.3586
H 2.4344 -7.0085 -1.6495
H 3.2895 -5.6821 -2.4739
C -4.2168 3.6273 4.4524
S -4.1919 4.7352 5.8770
O -4.5712 3.9311 7.0782
C -5.6394 5.6990 5.3910
H -3.4087 2.9032 4.5637
H -5.1717 3.1005 4.4065
H -4.0609 4.2039 3.5390
H -6.5059 5.0430 5.2870
H -5.4380 6.2083 4.4469
H -5.8373 6.4401 6.1662
C 2.7938 8.5340 -0.2273
S 2.8011 8.8630 1.5475
O 2.4156 7.5950 2.2397
C 1.3523 9.9401 1.5454
H 3.6048 7.8405 -0.4533
H 1.8423 8.0862 -0.5199
H 2.9538 9.4664 -0.7716
H 0.4903 9.4045 1.1425
H 1.5585 10.8271 0.9438
H 1.1438 10.2409 2.5727
C -1.2953 -8.2519 -6.9114
S -1.1638 -9.0043 -5.2759
O -0.7338 -7.9341 -4.3236
C 0.2872 -10.0118 -5.6484
H -2.1256 -7.5448 -6.9003
H -0.3721 -7.7227 -7.1540
H -1.4910 -9.0269 -7.6545
H 1.1122 -9.3728 -5.9696
H 0.0407 -10.7299 -6.4324
H 0.5761 -10.5491 -4.7444

The calculation puts the HOMO-LUMO gap at 0.2786 Eh. The calculation puts the energy relative to the best compared isomer or geometry (same formula, charge and spin) at 630.0 kJ/mol.

Atomic partial charges in e from the Löwdin method, atoms 1 to 5:
1 C -0.071
2 C -0.142
3 C 0.034
4 C -0.141
5 C -0.134

---

Record 2
ORCA calculation (wB97M-V/def2-TZVPD) on a molecular structure, C27H53N8O9PS at a distorted geometry.
- - -

  • Academics—display/discussion of school transcripts, report cards, accelerated programs, academic awards, work samples, statement of change in student’s academic achievement.
  • Arts—copies of artwork, event programs, recordings of student’s musical performances, dance performances, drama performances, and so on.
  • School & Community Activities—record of activities, statements from activity leaders, visual display of certificates, awards.
  • Self-Advocacy—statement of how the student educates others (teachers, students, community) on their needs or the needs of others with disabilities; examples of the accommodations the student has requested to enhance learning and accessibility.
  • Technology—nominee using their technology in everyday situations, record of technology used, how it has impacted the student or others, skills the student has learned through technology use.
  • Transition—employment history, performance reviews, certificates, awards, statement of achievement from employers/co‐workers/teachers/coaches/transition officers, record of progress made in acquiring work, vocational, or independent living skills.


For additional information, Contact Us.
Thank you for considering nominating a child/youth to receive the ICEC “Yes I Can” Award!